Porn Gone Wild
Porn has never been so popular. Some surprising statistics released by Nielsen/NetRatings this week estimate that 34 million porn sites were visited in August of this year; that translates into one in four Internet users making a regular habit of viewing porn online
Porn Over P2Ps No Different
Government lawmakers are getting their fair share of porn exposure and they don't seem to be any closer to making a decision on how to stymie the flow of porn over P2P networks since a September panel asked whether P2P porn is worse than regular Internet porn
Brits Launch Child Porn Amnesty
While the program is not yet formalized, ACPO is considering a program through which confirmed sex offenders can surrender their hard drives to investigators. The hard drives would either be destroyed or wiped clean
India Cracks Down On Porn
City government in Bombay has launched an initiative to crack down on Internet access to porn by making the country's cyber café owners stick to stricter citywide policies, such as yearly licensing fees, and using software filters
Australia Post Porn Racket
Upper management at The Post discovered this week that more than 50 of its statewide bureau managers and staff members have been routinely exchanging hardcore pornographic emails and videos after an email got sent to the wrong address
Porn Virus Hits Hard
The offer of free porn is apt to peak the interest of many email recipients, particularly when a woman named Wendy promises to share details of a secret sexual encounter. But once the attachment is opened, the same old song and dance begins
Detective Jailed For Child Porn
After a roommate accidentally discovered pornographic images on his housemate's computer, a well-regarded police detective who was routinely assigned to child crime cases was booked and jailed this week
Wi-Fi Porn Trend
Toronto police have arrested a man in a strange and very high-tech case of wirelessly downloading child porn from other people's high-speed computer networks from a moving vehicle
China's Porn Potential
Crystal structures that have nothing to do with the piece:
-- begin --
# 1
Material: Sr2TlO
Method: DFT, PBE
State: optimized geometry

Output
uncorrected formation energy	-1.1647	eV per atom

Cell and atoms, written as CIF:
```
data_Sr2TlO
_chemical_formula_sum 'Sr2 Tl1 O1'
_cell_length_a 3.760
_cell_length_b 3.760
_cell_length_c 9.939
_cell_angle_alpha 79.10
_cell_angle_beta 79.10
_cell_angle_gamma 60.00
_symmetry_space_group_name_H-M 'P 1'
_symmetry_Int_Tables_number 1
loop_
_symmetry_equiv_pos_as_xyz
'x,y,z'
loop_
_atom_site_label
_atom_site_type_symbol
_atom_site_fract_x
_atom_site_fract_y
_atom_site_fract_z
Tl1 Tl 0.000 0.000 0.000
Sr1 Sr 0.884 0.884 0.348
Sr2 Sr 0.116 0.116 0.652
O1 O 0.500 0.500 0.500
```



# 2
Material: Sr4TlO5
Method: DFT, PBE
State: optimized geometry

Output
uncorrected formation energy	-2.3057	eV per atom

Cell and atoms, written as CIF:
```
data_Sr4TlO5
_chemical_formula_sum 'Sr4 Tl1 O5'
_cell_length_a 5.140
_cell_length_b 6.384
_cell_length_c 6.384
_cell_angle_alpha 80.67
_cell_angle_beta 66.26
_cell_angle_gamma 66.26
_symmetry_space_group_name_H-M 'P 1'
_symmetry_Int_Tables_number 1
loop_
_symmetry_equiv_pos_as_xyz
'x,y,z'
loop_
_atom_site_label
_atom_site_type_symbol
_atom_site_fract_x
_atom_site_fract_y
_atom_site_fract_z
O1 O 0.897 0.415 0.794
O2 O 0.312 0.794 0.585
O3 O 0.691 0.206 0.415
O4 O 0.500 0.000 0.000
O5 O 0.106 0.585 0.206
Sr1 Sr 0.605 0.596 0.196
Sr2 Sr 0.201 0.196 0.404
Sr3 Sr 0.397 0.404 0.804
Sr4 Sr 0.801 0.804 0.596
Tl1 Tl 0.001 0.000 0.000
```



# 3
Material: Sr5Tl2O
Method: DFT, PBE
State: optimized geometry

Output
uncorrected formation energy	-0.8310	eV per atom

Cell and atoms, written as CIF:
```
data_Sr5Tl2O
_chemical_formula_sum 'Sr20 Tl8 O4'
_cell_length_a 7.386
_cell_length_b 9.430
_cell_length_c 16.461
_cell_angle_alpha 90.00
_cell_angle_beta 90.00
_cell_angle_gamma 90.00
_symmetry_space_group_name_H-M 'P 1'
_symmetry_Int_Tables_number 1
loop_
_symmetry_equiv_pos_as_xyz
'x,y,z'
loop_
_atom_site_label
_atom_site_type_symbol
_atom_site_fract_x
_atom_site_fract_y
_atom_site_fract_z
O1 O 0.750 0.336 0.571
O2 O 0.250 0.164 0.071
O3 O 0.250 0.664 0.429
O4 O 0.750 0.836 0.929
Tl1 Tl 0.250 0.928 0.826
Tl2 Tl 0.250 0.682 0.091
Tl3 Tl 0.750 0.818 0.591
Tl4 Tl 0.250 0.428 0.674
Tl5 Tl 0.750 0.318 0.909
Tl6 Tl 0.250 0.182 0.409
Tl7 Tl 0.750 0.072 0.174
Tl8 Tl 0.750 0.572 0.326
Sr1 Sr 0.511 0.654 0.908
Sr2 Sr 0.750 0.227 0.348
Sr3 Sr 0.511 0.154 0.592
Sr4 Sr 0.250 0.273 0.848
Sr5 Sr 0.500 0.500 0.500
Sr6 Sr 0.000 0.000 0.000
Sr7 Sr 0.250 0.773 0.652
Sr8 Sr 0.011 0.346 0.092
Sr9 Sr 0.250 0.031 0.201
Sr10 Sr 0.250 0.531 0.299
Sr11 Sr 0.489 0.346 0.092
Sr12 Sr 0.989 0.654 0.908
Sr13 Sr 0.750 0.469 0.701
Sr14 Sr 0.750 0.727 0.152
Sr15 Sr 0.989 0.154 0.592
Sr16 Sr 0.750 0.969 0.799
Sr17 Sr 0.500 0.000 0.000
Sr18 Sr 0.489 0.846 0.408
Sr19 Sr 0.011 0.846 0.408
Sr20 Sr 0.000 0.500 0.500
```



# 4
Material: SrTlO2
Method: DFT, PBE
State: optimized geometry

Output
uncorrected formation energy	-1.6527	eV per atom

Cell and atoms, written as CIF:
```
data_SrTlO2
-- stop --
End of the crystal structures:
For adult entertainment companies still scanning the global landscape for potential porn growth, China is an increasingly viable target region as government-imposed social and political mores weaken
Yahoo! Profits From Porn, Again
After nearly two years of going without porn, Yahoo! has tossed its name back into the blue ring and will once again feature adult entertainment advertising
Ex-Councilor Jailed For Child Porn
A former representative for the Tories was sentenced to six months in jail by magistrates for possessing materials that depicted minors in exploitive sexual activities
The Polarization of Porn
There are a wide variety of threats to our industry, and I am sad to say that not all of them are external. Seeing a shift towards increased infighting, I felt that it was time to speak out
New Porn Virus
Just after the release of peer-to-peer virus W32/SpyBot-W last week, the latest viral newcomer is posing under the variety of porn-related file names like gay.exe, lesbiansex.exe, pamela.exe, porn.exe, and xvid.exe
Porn Dialer Case Closed
The 39-year-old hacker has been charged with fraud and virus distribution and narrowly escaped Bill Gates' bounty pledge this week that could have made some lucky tipster a very wealthy man or woman
Michigan Gets Tough on Porn
A new law signed by the state's Governor Jennifer Granholm will legally require bookstores, video retailers, magazine kiosks, and all media retail outlets to conceal sexually explicit materials from minors
Section of Child Porn Law Tossed
Next to the article, the page also holds crystal structures.
=====
The following is a DFT calculation (PBE with a Hubbard U) of a geometry-optimized Sc2VO5 structure.

## Properties
Calculated volume, A^3/atom: 11.40
Energy, eV for the cell shown: -273.18
Total moment, μB/f.u.: 1.0
Symmetry: Pnma (62)

```
Sc2VO5
1.0
7.124 0.000 0.000
0.000 3.487 0.000
0.000 0.000 14.684
Sc V O
8 4 20
direct
0.073 0.250 0.094
0.147 0.250 0.732
0.353 0.750 0.232
0.427 0.750 0.594
0.573 0.250 0.406
0.647 0.250 0.768
0.853 0.750 0.268
0.927 0.750 0.906
0.125 0.250 0.428
0.375 0.750 0.928
0.625 0.250 0.072
0.875 0.750 0.572
0.078 0.750 0.453
0.086 0.750 0.185
0.110 0.750 0.652
0.145 0.750 0.006
0.204 0.750 0.831
0.296 0.250 0.331
0.355 0.250 0.506
0.390 0.250 0.152
0.414 0.250 0.685
0.422 0.250 0.953
0.578 0.750 0.047
0.586 0.750 0.315
0.610 0.750 0.848
0.645 0.750 0.494
0.704 0.750 0.669
0.796 0.250 0.169
0.855 0.250 0.994
0.890 0.250 0.348
0.914 0.250 0.815
0.922 0.250 0.547
```

~~~~~

(1)
# ScHgSO PBE relaxed
data_ScHgSO
_symmetry_space_group_name_H-M 'P 1 21/c 1'
_symmetry_Int_Tables_number 14
_symmetry_space_group_name_Hall '-P 2ybc'
_cell_length_a 8.089
_cell_length_b 6.789
_cell_length_c 6.132
_cell_angle_alpha 90.00
_cell_angle_beta 94.18
_cell_angle_gamma 90.00
loop_
_atom_site_label
_atom_site_fract_x
_atom_site_fract_y
_atom_site_fract_z
_atom_site_occupancy
Sc1 0.010 0.141 0.201 1
Hg1 0.389 0.636 0.476 1
S1 0.204 0.584 0.969 1
O1 0.093 0.132 0.903 1
# Raw total energy, eV/atom: -5.696
# Total magnetic moment, μB per atom: 0.00

***

(2)
# ScHgSO PBE relaxed
data_ScHgSO
_symmetry_space_group_name_H-M 'P c a 21'
_symmetry_Int_Tables_number 29
_symmetry_space_group_name_Hall 'P 2c -2ac'
_cell_length_a 8.382
_cell_length_b 8.087
_cell_length_c 5.063
_cell_angle_alpha 90.00
_cell_angle_beta 90.00
_cell_angle_gamma 90.00
loop_
_atom_site_label
_atom_site_fract_x
_atom_site_fract_y
_atom_site_fract_z
_atom_site_occupancy
Sc1 0.090 0.149 0.000 1
Hg1 0.160 0.607 0.134 1
S1 0.107 0.098 0.498 1
O1 0.036 0.370 0.979 1
# Raw total energy, eV/atom: -5.309
# Total magnetic moment, μB per atom: 0.00

***

(3)
# ScHgSO PBE relaxed
data_ScHgSO
_symmetry_space_group_name_H-M 'C 1 2 1'
_symmetry_Int_Tables_number 5
_symmetry_space_group_name_Hall 'C 2y'
_cell_length_a 5.296
_cell_length_b 5.300
_cell_length_c 11.669
_cell_angle_alpha 90.00
_cell_angle_beta 94.46
_cell_angle_gamma 90.00
loop_
_atom_site_label
_atom_site_fract_x
_atom_site_fract_y
_atom_site_fract_z
_atom_site_occupancy
Sc1 0.234 0.000 0.416 1
Hg1 0.126 0.581 0.103 1
S1 0.057 0.242 0.746 1
O1 0.000 0.255 0.500 1
O2 0.000 0.752 0.500 1
# Raw total energy, eV/atom: -5.754
# Total magnetic moment, μB per atom: 0.00

***

(4)
# ScHgSO PBE relaxed
data_ScHgSO
_symmetry_space_group_name_H-M 'P m c 21'
_symmetry_Int_Tables_number 26
_symmetry_space_group_name_Hall 'P 2c -2'
_cell_length_a 4.151
_cell_length_b 8.390
_cell_length_c 5.421
_cell_angle_alpha 90.00
_cell_angle_beta 90.00
_cell_angle_gamma 90.00
loop_
_atom_site_label
_atom_site_fract_x
_atom_site_fract_y
=====
Here the article continues.
A Knox County judge dismissed a section of state law on child pornography calling it unconstitutional. Proving future child pornography allegations could become a formidable task
Porn Star Casting Call
Silhouette began shooting a new pay-per-view reality series this week titled "Can You Be A Porn Star?" The series will be hosted by adult video stars Tabitha Stevens, gubernatorial candidate Mary Carey, and Ginger Lynn
Bush Backlash on Porn
Last week's "Protection from Pornography Week" was right in step with what Bush critics have been calling a concerted effort on the part of his administration to rid the world of pornography, regardless of the First Amendment.
More Women Into Porn
More women are accessing porn online, and while those numbers are still far from eclipsing the amount of men that traffic porn sites, women are steadily becoming paying consumers of Internet pornography
Sweeping Child Porn Bust
Two former teachers and 17 other suspects were brought into custody as part of a prolonged investigation into a child porn ring in Southern California. The charges range from sexual solicitation to distribution of child porn